**Brief**
The reader should quote all of the listing below without additions.

**Listing**
- - -
Record 1
Theoretical XRD peak list of Li4CoO3F for copper Kα, from a PBE+U-relaxed structure.
Intensities are scaled so that the largest is 100.

Atomic structure:
Unit cell a=5.250 b=5.417 c=7.817 alpha=71.11 beta=79.56 gamma=65.14
Sites, in units of the cell vectors:
Li1 0.000 0.000 0.000
Li2 0.007 0.326 0.568
Li3 0.463 0.771 0.554
Li4 0.471 0.269 0.407
Li5 0.489 0.527 0.999
Li6 0.519 0.970 0.210
Li7 0.944 0.611 0.786
Li8 0.979 0.876 0.433
Co1 0.539 0.224 0.730
Co2 0.968 0.378 0.199
O1 0.083 0.597 0.008
O2 0.210 0.111 0.389
O3 0.256 0.506 0.594
O4 0.677 0.944 0.625
O5 0.738 0.204 0.197
O6 0.767 0.332 0.806
F1 0.397 0.910 0.020
F2 0.770 0.629 0.375

Peak list (10 most intense, 2θ from 5° to 70°, low angle first)
| two_theta | d_spacing | intensity |
| --- | --- | --- |
| 18.79 | 4.723 | 100 |
| 20.61 | 4.309 | 86 |
| 21.68 | 4.098 | 86 |
| 22.76 | 3.907 | 71 |
| 24.10 | 3.693 | 41 |
| 26.19 | 3.403 | 84 |
| 26.99 | 3.303 | 93 |
| 31.45 | 2.844 | 51 |
| 39.17 | 2.300 | 48 |
| 42.19 | 2.142 | 39 |

***

Record 2
Theoretical XRD peak list of Li3Co3OF7 for copper Kα, from a PBE+U-relaxed structure.
Intensities are scaled so that the largest is 100.

Atomic structure:
Unit cell a=6.068 b=6.068 c=6.068 alpha=60.03 beta=60.03 gamma=60.03
Sites, in units of the cell vectors:
Li1 0.000 0.000 0.000
Li2 0.257 0.257 0.257
Li3 0.631 0.631 0.631
Co1 0.119 0.644 0.644
Co2 0.644 0.119 0.644
Co3 0.644 0.644 0.119
O1 0.871 0.871 0.871
F1 0.389 0.389 0.860
F2 0.389 0.860 0.389
F3 0.393 0.393 0.393
F4 0.399 0.871 0.871
F5 0.860 0.389 0.389
F6 0.871 0.399 0.871
F7 0.871 0.871 0.399

Peak list (10 most intense, 2θ from 5° to 70°, low angle first)
| two_theta | d_spacing | intensity |
| --- | --- | --- |
| 17.90 | 4.954 | 100 |
| 20.70 | 4.292 | 13 |
| 29.44 | 3.034 | 13 |
| 34.66 | 2.588 | 55 |
| 42.11 | 2.146 | 68 |
| 46.10 | 1.969 | 16 |
| 52.21 | 1.752 | 6 |
| 55.65 | 1.652 | 23 |
| 61.07 | 1.517 | 41 |
| 64.19 | 1.451 | 15 |

***

Record 3
Theoretical XRD peak list of Li4Co3OF8 for copper Kα, from a PBE+U-relaxed structure.
Intensities are scaled so that the largest is 100.

Atomic structure:
Unit cell a=5.101 b=5.101 c=11.531 alpha=101.33 beta=101.33 gamma=32.63
Sites, in units of the cell vectors:
Li1 0.000 0.000 0.000
Li2 0.102 0.102 0.313
Li3 0.219 0.219 0.877
Li4 0.383 0.383 0.427
Co1 0.465 0.465 0.749
Co2 0.653 0.653 0.603
Co3 0.803 0.803 0.170
O1 0.091 0.091 0.706
F1 0.043 0.043 0.470
F2 0.147 0.147 0.147
F3 0.312 0.312 0.585
F4 0.359 0.359 0.040
F5 0.445 0.445 0.263
F6 0.594 0.594 0.923
F7 0.749 0.749 0.348
F8 0.849 0.849 0.823

Peak list (10 most intense, 2θ from 5° to 70°, low angle first)
| two_theta | d_spacing | intensity |
| --- | --- | --- |
| 7.83 | 11.287 | 43 |
| 15.70 | 5.643 | 100 |
| 21.58 | 4.118 | 73 |
| 21.74 | 4.089 | 50 |
| 33.14 | 2.703 | 43 |
| 33.39 | 2.683 | 24 |
| 40.28 | 2.239 | 38 |
| 43.24 | 2.092 | 48 |
| 44.28 | 2.046 | 24 |
| 45.95 | 1.975 | 43 |

***

Record 4
Theoretical XRD peak list of Li3Co2OF5 for copper Kα, from a PBE+U-relaxed structure.
Intensities are scaled so that the largest is 100.

Atomic structure:
Unit cell a=5.156 b=5.156 c=9.833 alpha=110.39 beta=110.39 gamma=70.75
Sites, in units of the cell vectors:
Li1 0.000 0.000 0.000
Li2 0.081 0.580 0.162
Li3 0.322 0.324 0.647
Li4 0.420 0.919 0.838
Li5 0.676 0.678 0.353
Li6 0.749 0.251 0.500
Co1 0.249 0.751 0.500
Co2 0.500 0.500 0.000
Co3 0.577 0.078 0.155
Co4 0.922 0.423 0.845
O1 0.257 0.257 0.000
O2 0.743 0.743 0.000
F1 0.012 0.514 0.500
F2 0.090 0.109 0.662
F3 0.171 0.664 0.833
F4 0.336 0.829 0.167
F5 0.445 0.430 0.338
F6 0.486 0.988 0.500
F7 0.570 0.555 0.662
F8 0.661 0.169 0.833
F9 0.831 0.339 0.167
F10 0.891 0.910 0.338

Peak list (10 most intense, 2θ from 5° to 70°, low angle first)
| two_theta | d_spacing | intensity |
| --- | --- | --- |
| 9.95 | 8.890 | 20 |
| 18.90 | 4.695 | 23 |
| 21.13 | 4.204 | 13 |
| 23.65 | 3.762 | 88 |
| 38.60 | 2.332 | 24 |
| 43.02 | 2.103 | 100 |
| 49.52 | 1.841 | 11 |
| 49.81 | 1.831 | 10 |
| 62.20 | 1.492 | 9 |
- - -

**Solution**
Record 1
Theoretical XRD peak list of Li4CoO3F for copper Kα, from a PBE+U-relaxed structure.
Intensities are scaled so that the largest is 100.

Atomic structure:
Unit cell a=5.250 b=5.417 c=7.817 alpha=71.11 beta=79.56 gamma=65.14
Sites, in units of the cell vectors:
Li1 0.000 0.000 0.000
Li2 0.007 0.326 0.568
Li3 0.463 0.771 0.554
Li4 0.471 0.269 0.407
Li5 0.489 0.527 0.999
Li6 0.519 0.970 0.210
Li7 0.944 0.611 0.786
Li8 0.979 0.876 0.433
Co1 0.539 0.224 0.730
Co2 0.968 0.378 0.199
O1 0.083 0.597 0.008
O2 0.210 0.111 0.389
O3 0.256 0.506 0.594
O4 0.677 0.944 0.625
O5 0.738 0.204 0.197
O6 0.767 0.332 0.806
F1 0.397 0.910 0.020
F2 0.770 0.629 0.375

Peak list (10 most intense, 2θ from 5° to 70°, low angle first)
| two_theta | d_spacing | intensity |
| --- | --- | --- |
| 18.79 | 4.723 | 100 |
| 20.61 | 4.309 | 86 |
| 21.68 | 4.098 | 86 |
| 22.76 | 3.907 | 71 |
| 24.10 | 3.693 | 41 |
| 26.19 | 3.403 | 84 |
| 26.99 | 3.303 | 93 |
| 31.45 | 2.844 | 51 |
| 39.17 | 2.300 | 48 |
| 42.19 | 2.142 | 39 |

***

Record 2
Theoretical XRD peak list of Li3Co3OF7 for copper Kα, from a PBE+U-relaxed structure.
Intensities are scaled so that the largest is 100.

Atomic structure:
Unit cell a=6.068 b=6.068 c=6.068 alpha=60.03 beta=60.03 gamma=60.03
Sites, in units of the cell vectors:
Li1 0.000 0.000 0.000
Li2 0.257 0.257 0.257
Li3 0.631 0.631 0.631
Co1 0.119 0.644 0.644
Co2 0.644 0.119 0.644
Co3 0.644 0.644 0.119
O1 0.871 0.871 0.871
F1 0.389 0.389 0.860
F2 0.389 0.860 0.389
F3 0.393 0.393 0.393
F4 0.399 0.871 0.871
F5 0.860 0.389 0.389
F6 0.871 0.399 0.871
F7 0.871 0.871 0.399

Peak list (10 most intense, 2θ from 5° to 70°, low angle first)
| two_theta | d_spacing | intensity |
| --- | --- | --- |
| 17.90 | 4.954 | 100 |
| 20.70 | 4.292 | 13 |
| 29.44 | 3.034 | 13 |
| 34.66 | 2.588 | 55 |
| 42.11 | 2.146 | 68 |
| 46.10 | 1.969 | 16 |
| 52.21 | 1.752 | 6 |
| 55.65 | 1.652 | 23 |
| 61.07 | 1.517 | 41 |
| 64.19 | 1.451 | 15 |

***

Record 3
Theoretical XRD peak list of Li4Co3OF8 for copper Kα, from a PBE+U-relaxed structure.
Intensities are scaled so that the largest is 100.

Atomic structure:
Unit cell a=5.101 b=5.101 c=11.531 alpha=101.33 beta=101.33 gamma=32.63
Sites, in units of the cell vectors:
Li1 0.000 0.000 0.000
Li2 0.102 0.102 0.313
Li3 0.219 0.219 0.877
Li4 0.383 0.383 0.427
Co1 0.465 0.465 0.749
Co2 0.653 0.653 0.603
Co3 0.803 0.803 0.170
O1 0.091 0.091 0.706
F1 0.043 0.043 0.470
F2 0.147 0.147 0.147
F3 0.312 0.312 0.585
F4 0.359 0.359 0.040
F5 0.445 0.445 0.263
F6 0.594 0.594 0.923
F7 0.749 0.749 0.348
F8 0.849 0.849 0.823

Peak list (10 most intense, 2θ from 5° to 70°, low angle first)
| two_theta | d_spacing | intensity |
| --- | --- | --- |
| 7.83 | 11.287 | 43 |
| 15.70 | 5.643 | 100 |
| 21.58 | 4.118 | 73 |
| 21.74 | 4.089 | 50 |
| 33.14 | 2.703 | 43 |
| 33.39 | 2.683 | 24 |
| 40.28 | 2.239 | 38 |
| 43.24 | 2.092 | 48 |
| 44.28 | 2.046 | 24 |
| 45.95 | 1.975 | 43 |

***

Record 4
Theoretical XRD peak list of Li3Co2OF5 for copper Kα, from a PBE+U-relaxed structure.
Intensities are scaled so that the largest is 100.

Atomic structure:
Unit cell a=5.156 b=5.156 c=9.833 alpha=110.39 beta=110.39 gamma=70.75
Sites, in units of the cell vectors:
Li1 0.000 0.000 0.000
Li2 0.081 0.580 0.162
Li3 0.322 0.324 0.647
Li4 0.420 0.919 0.838
Li5 0.676 0.678 0.353
Li6 0.749 0.251 0.500
Co1 0.249 0.751 0.500
Co2 0.500 0.500 0.000
Co3 0.577 0.078 0.155
Co4 0.922 0.423 0.845
O1 0.257 0.257 0.000
O2 0.743 0.743 0.000
F1 0.012 0.514 0.500
F2 0.090 0.109 0.662
F3 0.171 0.664 0.833
F4 0.336 0.829 0.167
F5 0.445 0.430 0.338
F6 0.486 0.988 0.500
F7 0.570 0.555 0.662
F8 0.661 0.169 0.833
F9 0.831 0.339 0.167
F10 0.891 0.910 0.338

Peak list (10 most intense, 2θ from 5° to 70°, low angle first)
| two_theta | d_spacing | intensity |
| --- | --- | --- |
| 9.95 | 8.890 | 20 |
| 18.90 | 4.695 | 23 |
| 21.13 | 4.204 | 13 |
| 23.65 | 3.762 | 88 |
| 38.60 | 2.332 | 24 |
| 43.02 | 2.103 | 100 |
| 49.52 | 1.841 | 11 |
| 49.81 | 1.831 | 10 |
| 62.20 | 1.492 | 9 |